== Assignment ==
Give back the whole of the notes below with every line break kept, please.
== Listing ==
# Ce6AgIr3
Calculated powder diffractogram, Cu Kα X-rays. Input: a DFT-relaxed cell (PBE, Alexandria).
Neutral-atom scattering factors, no anomalous dispersion.

Principal peaks in the range 10 to 90 degrees two-theta, most intense first:
2θ = 36.39°, 2.469 Å, I = 100
2θ = 33.26°, 2.694 Å, I = 97
2θ = 33.82°, 2.651 Å, I = 90
2θ = 24.40°, 3.649 Å, I = 90
2θ = 33.09°, 2.707 Å, I = 59
2θ = 40.70°, 2.217 Å, I = 55
2θ = 16.45°, 5.390 Å, I = 52
2θ = 50.05°, 1.822 Å, I = 33
2θ = 28.64°, 3.116 Å, I = 32
2θ = 47.26°, 1.923 Å, I = 29

Atomic structure:
abc: 8.869 8.869 6.913
angles: 90.00 90.00 103.88
Atoms (fractional coordinates):
1 Ce 0.003 0.997 0.500
2 Ce 0.098 0.507 0.498
3 Ce 0.233 0.767 0.757
4 Ce 0.277 0.395 0.943
5 Ce 0.395 0.277 0.443
6 Ce 0.493 0.902 0.498
7 Ce 0.507 0.098 0.998
8 Ce 0.605 0.723 0.943
9 Ce 0.723 0.605 0.443
10 Ce 0.767 0.233 0.257
11 Ce 0.902 0.493 0.998
12 Ce 0.997 0.003 0.000
13 Ag 0.204 0.796 0.218
14 Ag 0.796 0.204 0.718
15 Ir 0.092 0.265 0.245
16 Ir 0.265 0.092 0.745
17 Ir 0.428 0.572 0.628
18 Ir 0.572 0.428 0.128
19 Ir 0.735 0.908 0.245
20 Ir 0.908 0.735 0.745


# Pa3Ga2Pd7
Calculated powder diffractogram, Cu Kα X-rays. Input: a DFT-relaxed cell (PBE, Alexandria).
Neutral-atom scattering factors, no anomalous dispersion.

Principal peaks in the range 10 to 90 degrees two-theta, most intense first:
2θ = 35.30°, 2.542 Å, I = 100
2θ = 38.78°, 2.322 Å, I = 28
2θ = 43.94°, 2.061 Å, I = 27
2θ = 45.81°, 1.981 Å, I = 24
2θ = 34.26°, 2.617 Å, I = 22
2θ = 65.35°, 1.428 Å, I = 17
2θ = 36.26°, 2.477 Å, I = 16
2θ = 32.80°, 2.730 Å, I = 15
2θ = 43.07°, 2.100 Å, I = 12
2θ = 75.15°, 1.264 Å, I = 12

Atomic structure:
abc: 4.121 3.961 14.098
angles: 90.00 98.37 90.00
Atoms (fractional coordinates):
1 Pa 0.000 0.000 0.000
2 Pa 0.319 0.500 0.636
3 Pa 0.681 0.500 0.364
4 Ga 0.130 0.000 0.263
5 Ga 0.870 0.000 0.737
6 Pd 0.073 0.500 0.149
7 Pd 0.219 0.000 0.439
8 Pd 0.425 0.000 0.848
9 Pd 0.500 0.500 0.000
10 Pd 0.575 0.000 0.152
11 Pd 0.781 0.000 0.561
12 Pd 0.927 0.500 0.851


# Zr6GaBi3
Calculated powder diffractogram, Cu Kα X-rays. Input: a DFT-relaxed cell (PBE, Alexandria).
Neutral-atom scattering factors, no anomalous dispersion.

Principal peaks in the range 10 to 90 degrees two-theta, most intense first:
2θ = 34.61°, 2.592 Å, I = 100
2θ = 24.77°, 3.594 Å, I = 60
2θ = 33.31°, 2.689 Å, I = 24
2θ = 16.48°, 5.379 Å, I = 21
2θ = 37.48°, 2.400 Å, I = 21
2θ = 39.95°, 2.257 Å, I = 21
2θ = 30.84°, 2.899 Å, I = 21
2θ = 35.72°, 2.514 Å, I = 20
2θ = 40.52°, 2.226 Å, I = 18
2θ = 24.07°, 3.697 Å, I = 18

Atomic structure:
abc: 8.845 8.845 7.023
angles: 90.00 90.00 108.95
Atoms (fractional coordinates):
1 Zr 0.024 0.976 0.500
2 Zr 0.083 0.589 0.532
3 Zr 0.255 0.745 0.125
4 Zr 0.257 0.394 0.094
5 Zr 0.394 0.257 0.594
6 Zr 0.411 0.917 0.532
7 Zr 0.589 0.083 0.032
8 Zr 0.606 0.743 0.094
9 Zr 0.743 0.606 0.594
10 Zr 0.745 0.255 0.625
11 Zr 0.917 0.411 0.032
12 Zr 0.976 0.024 0.000
13 Ga 0.151 0.849 0.784
14 Ga 0.849 0.151 0.284
15 Bi 0.091 0.291 0.724
16 Bi 0.291 0.091 0.224
17 Bi 0.417 0.583 0.436
18 Bi 0.583 0.417 0.936
19 Bi 0.709 0.909 0.724
20 Bi 0.909 0.709 0.224


# Sm4GaS2
Calculated powder diffractogram, Cu Kα X-rays. Input: a DFT-relaxed cell (PBE, Alexandria).
Neutral-atom scattering factors, no anomalous dispersion.

Principal peaks in the range 10 to 90 degrees two-theta, most intense first:
2θ = 29.26°, 3.052 Å, I = 100
2θ = 30.87°, 2.896 Å, I = 91
2θ = 45.52°, 1.993 Å, I = 64
2θ = 30.46°, 2.934 Å, I = 47
2θ = 32.92°, 2.721 Å, I = 40
2θ = 55.00°, 1.670 Å, I = 34
2θ = 26.70°, 3.339 Å, I = 31
2θ = 40.42°, 2.232 Å, I = 28
2θ = 48.99°, 1.859 Å, I = 19
2θ = 78.93°, 1.213 Å, I = 19

Atomic structure:
abc: 6.932 6.932 13.749
angles: 90.00 90.00 146.56
Atoms (fractional coordinates):
1 Sm 0.000 0.000 0.000
2 Sm 0.000 0.000 0.500
3 Sm 0.272 0.728 0.620
4 Sm 0.272 0.728 0.880
5 Sm 0.439 0.561 0.250
6 Sm 0.561 0.439 0.750
7 Sm 0.728 0.272 0.120
8 Sm 0.728 0.272 0.380
9 Ga 0.107 0.893 0.250
10 Ga 0.893 0.107 0.750
== Worked solution ==
# Ce6AgIr3
Calculated powder diffractogram, Cu Kα X-rays. Input: a DFT-relaxed cell (PBE, Alexandria).
Neutral-atom scattering factors, no anomalous dispersion.

Principal peaks in the range 10 to 90 degrees two-theta, most intense first:
2θ = 36.39°, 2.469 Å, I = 100
2θ = 33.26°, 2.694 Å, I = 97
2θ = 33.82°, 2.651 Å, I = 90
2θ = 24.40°, 3.649 Å, I = 90
2θ = 33.09°, 2.707 Å, I = 59
2θ = 40.70°, 2.217 Å, I = 55
2θ = 16.45°, 5.390 Å, I = 52
2θ = 50.05°, 1.822 Å, I = 33
2θ = 28.64°, 3.116 Å, I = 32
2θ = 47.26°, 1.923 Å, I = 29

Atomic structure:
abc: 8.869 8.869 6.913
angles: 90.00 90.00 103.88
Atoms (fractional coordinates):
1 Ce 0.003 0.997 0.500
2 Ce 0.098 0.507 0.498
3 Ce 0.233 0.767 0.757
4 Ce 0.277 0.395 0.943
5 Ce 0.395 0.277 0.443
6 Ce 0.493 0.902 0.498
7 Ce 0.507 0.098 0.998
8 Ce 0.605 0.723 0.943
9 Ce 0.723 0.605 0.443
10 Ce 0.767 0.233 0.257
11 Ce 0.902 0.493 0.998
12 Ce 0.997 0.003 0.000
13 Ag 0.204 0.796 0.218
14 Ag 0.796 0.204 0.718
15 Ir 0.092 0.265 0.245
16 Ir 0.265 0.092 0.745
17 Ir 0.428 0.572 0.628
18 Ir 0.572 0.428 0.128
19 Ir 0.735 0.908 0.245
20 Ir 0.908 0.735 0.745


# Pa3Ga2Pd7
Calculated powder diffractogram, Cu Kα X-rays. Input: a DFT-relaxed cell (PBE, Alexandria).
Neutral-atom scattering factors, no anomalous dispersion.

Principal peaks in the range 10 to 90 degrees two-theta, most intense first:
2θ = 35.30°, 2.542 Å, I = 100
2θ = 38.78°, 2.322 Å, I = 28
2θ = 43.94°, 2.061 Å, I = 27
2θ = 45.81°, 1.981 Å, I = 24
2θ = 34.26°, 2.617 Å, I = 22
2θ = 65.35°, 1.428 Å, I = 17
2θ = 36.26°, 2.477 Å, I = 16
2θ = 32.80°, 2.730 Å, I = 15
2θ = 43.07°, 2.100 Å, I = 12
2θ = 75.15°, 1.264 Å, I = 12

Atomic structure:
abc: 4.121 3.961 14.098
angles: 90.00 98.37 90.00
Atoms (fractional coordinates):
1 Pa 0.000 0.000 0.000
2 Pa 0.319 0.500 0.636
3 Pa 0.681 0.500 0.364
4 Ga 0.130 0.000 0.263
5 Ga 0.870 0.000 0.737
6 Pd 0.073 0.500 0.149
7 Pd 0.219 0.000 0.439
8 Pd 0.425 0.000 0.848
9 Pd 0.500 0.500 0.000
10 Pd 0.575 0.000 0.152
11 Pd 0.781 0.000 0.561
12 Pd 0.927 0.500 0.851


# Zr6GaBi3
Calculated powder diffractogram, Cu Kα X-rays. Input: a DFT-relaxed cell (PBE, Alexandria).
Neutral-atom scattering factors, no anomalous dispersion.

Principal peaks in the range 10 to 90 degrees two-theta, most intense first:
2θ = 34.61°, 2.592 Å, I = 100
2θ = 24.77°, 3.594 Å, I = 60
2θ = 33.31°, 2.689 Å, I = 24
2θ = 16.48°, 5.379 Å, I = 21
2θ = 37.48°, 2.400 Å, I = 21
2θ = 39.95°, 2.257 Å, I = 21
2θ = 30.84°, 2.899 Å, I = 21
2θ = 35.72°, 2.514 Å, I = 20
2θ = 40.52°, 2.226 Å, I = 18
2θ = 24.07°, 3.697 Å, I = 18

Atomic structure:
abc: 8.845 8.845 7.023
angles: 90.00 90.00 108.95
Atoms (fractional coordinates):
1 Zr 0.024 0.976 0.500
2 Zr 0.083 0.589 0.532
3 Zr 0.255 0.745 0.125
4 Zr 0.257 0.394 0.094
5 Zr 0.394 0.257 0.594
6 Zr 0.411 0.917 0.532
7 Zr 0.589 0.083 0.032
8 Zr 0.606 0.743 0.094
9 Zr 0.743 0.606 0.594
10 Zr 0.745 0.255 0.625
11 Zr 0.917 0.411 0.032
12 Zr 0.976 0.024 0.000
13 Ga 0.151 0.849 0.784
14 Ga 0.849 0.151 0.284
15 Bi 0.091 0.291 0.724
16 Bi 0.291 0.091 0.224
17 Bi 0.417 0.583 0.436
18 Bi 0.583 0.417 0.936
19 Bi 0.709 0.909 0.724
20 Bi 0.909 0.709 0.224


# Sm4GaS2
Calculated powder diffractogram, Cu Kα X-rays. Input: a DFT-relaxed cell (PBE, Alexandria).
Neutral-atom scattering factors, no anomalous dispersion.

Principal peaks in the range 10 to 90 degrees two-theta, most intense first:
2θ = 29.26°, 3.052 Å, I = 100
2θ = 30.87°, 2.896 Å, I = 91
2θ = 45.52°, 1.993 Å, I = 64
2θ = 30.46°, 2.934 Å, I = 47
2θ = 32.92°, 2.721 Å, I = 40
2θ = 55.00°, 1.670 Å, I = 34
2θ = 26.70°, 3.339 Å, I = 31
2θ = 40.42°, 2.232 Å, I = 28
2θ = 48.99°, 1.859 Å, I = 19
2θ = 78.93°, 1.213 Å, I = 19

Atomic structure:
abc: 6.932 6.932 13.749
angles: 90.00 90.00 146.56
Atoms (fractional coordinates):
1 Sm 0.000 0.000 0.000
2 Sm 0.000 0.000 0.500
3 Sm 0.272 0.728 0.620
4 Sm 0.272 0.728 0.880
5 Sm 0.439 0.561 0.250
6 Sm 0.561 0.439 0.750
7 Sm 0.728 0.272 0.120
8 Sm 0.728 0.272 0.380
9 Ga 0.107 0.893 0.250
10 Ga 0.893 0.107 0.750